HVAC Mode — VENT (09) — This is a normal operation
mode where no heating or cooling is required and outside air is
being delivered to the space to control IAQ levels.
HVAC Mode — HIGH COOL (10) — This is a normal cool-
ing mode where a high cooling demand is required.
HVAC Mode — LOW COOL (11) — This is a normal cool-
ing mode where a low cooling demand is required.
HVAC Mode — UNOCC. FREE COOL (12) — In this
# Calculated crystals from another source follow
-- begin --
(1)
A plane-wave DFT calculation with GGA-PBE was carried out for a geometry-optimized UCo2Si2 structure.

## Properties
For the raw total energy, the calculation gives -7.84 eV/atom. Its formation energy is -0.539 eV per atom.

Cell lengths 5.559, 5.559, 5.559 Å; angles 139.16, 139.16, 59.13 degrees
Sites, in units of the cell vectors:
U1 0.000 0.000 0.000
Co1 0.250 0.750 0.500
Co2 0.750 0.250 0.500
Si1 0.376 0.376 0.000
Si2 0.624 0.624 0.000

(2)
A plane-wave DFT calculation with GGA-PBE was carried out for a geometry-optimized UCoSi structure.

## Properties
The value obtained for the spin magnetization is 0.0 μB/f.u. For the raw total energy, the calculation gives -8.34 eV/atom. Its formation energy is -0.376 eV per atom.

Cell lengths 7.013, 3.966, 7.137 Å; angles 90.00, 90.00, 90.00 degrees
Sites, in units of the cell vectors:
U1 0.001 0.250 0.247
U2 0.499 0.750 0.747
U3 0.501 0.250 0.253
U4 0.999 0.750 0.753
Co1 0.247 0.750 0.402
Co2 0.253 0.250 0.902
Co3 0.747 0.750 0.098
Co4 0.753 0.250 0.598
Si1 0.246 0.250 0.577
Si2 0.254 0.750 0.077
Si3 0.746 0.250 0.923
Si4 0.754 0.750 0.423

(3)
A plane-wave DFT calculation with GGA-PBE was carried out for a geometry-optimized U2Co3Si5 structure.

## Properties
The value obtained for the spin magnetization is 0.2 μB/f.u. For the raw total energy, the calculation gives -7.65 eV/atom. Its formation energy is -0.506 eV per atom.

Cell lengths 7.829, 7.829, 7.829 Å; angles 104.37, 90.31, 138.28 degrees
Sites, in units of the cell vectors:
U1 0.134 0.234 0.368
U2 0.366 0.734 0.099
U3 0.634 0.266 0.901
U4 0.866 0.766 0.632
Co1 0.139 0.885 0.024
Co2 0.250 0.750 0.500
Co3 0.361 0.385 0.747
Co4 0.639 0.615 0.253
Co5 0.750 0.250 0.500
Co6 0.861 0.115 0.976
Si1 0.021 0.750 0.271
Si2 0.103 0.653 0.756
Si3 0.250 0.250 0.000
Si4 0.397 0.153 0.551
Si5 0.479 0.750 0.729
Si6 0.521 0.250 0.271
Si7 0.603 0.847 0.449
Si8 0.750 0.750 0.000
Si9 0.897 0.347 0.244
Si10 0.979 0.250 0.729

(4)
A plane-wave DFT calculation with GGA-PBE was carried out for a geometry-optimized YCoSi structure.

## Properties
For the raw total energy, the calculation gives -7.05 eV/atom. Its formation energy is -0.695 eV per atom.

Cell lengths 6.825, 4.145, 7.105 Å; angles 90.00, 90.00, 90.00 degrees
Sites, in units of the cell vectors:
Y1 0.010 0.250 0.193
Y2 0.490 0.750 0.693
Y3 0.510 0.250 0.307
Y4 0.990 0.750 0.807
Co1 0.150 0.750 0.433
Co2 0.350 0.250 0.933
Co3 0.650 0.750 0.067
Co4 0.850 0.250 0.567
Si1 0.196 0.250 0.599
Si2 0.304 0.750 0.099
Si3 0.696 0.250 0.901
Si4 0.804 0.750 0.401

(5)
A plane-wave DFT calculation with GGA-PBE was carried out for a geometry-optimized YCo2Si2 structure.

## Properties
For the raw total energy, the calculation gives -7.14 eV/atom. Its formation energy is -0.803 eV per atom.

Cell lengths 5.605, 5.605, 5.605 Å; angles 139.47, 139.47, 58.66 degrees
Sites, in units of the cell vectors:
Y1 0.000 0.000 0.000
Co1 0.250 0.750 0.500
Co2 0.750 0.250 0.500
Si1 0.371 0.371 0.000
Si2 0.629 0.629 0.000

(6)
-- stop --
mode the unit will operate in cooling but will be using the
economizer for free cooling. Entering this mode will depend on
the status of the outside air. The unit can be configured for out-
side air changeover, differential dry bulb changeover, outside
air enthalpy changeover, differential enthalpy changeover, or a
_Someone pasted records of crystals at this point_
/*
[1]
DFT (PBE with a Hubbard U) results for a relaxed KMn2O4 crystal.

Results
Energy above the most stable polymorph in this dataset, meV per atom: 18

Unit cell a=2.952 b=6.572 c=10.642 alpha=87.31 beta=89.98 gamma=77.34
Space group P1 (No. 1)
Symmetry-distinct sites (fractional):
K: 0.000 0.000 0.000
K: 0.027 0.961 0.444
Mn: 0.254 0.504 0.049
Mn: 0.288 0.438 0.545
Mn: 0.761 0.494 0.301
Mn: 0.785 0.442 0.797
O: 0.177 0.668 0.243
O: 0.220 0.575 0.699
O: 0.347 0.320 0.374
O: 0.354 0.299 0.887
O: 0.679 0.655 0.966
O: 0.704 0.612 0.469
O: 0.826 0.358 0.144
O: 0.870 0.270 0.603


[2]
DFT (PBE with a Hubbard U) results for a relaxed K2MnP2O7 crystal.

Unit cell a=9.698 b=5.604 c=14.050 alpha=90.00 beta=117.47 gamma=90.00
Space group P2_1/c (No. 14)
Symmetry-distinct sites (fractional):
K: 0.009 0.233 0.139
K: 0.465 0.227 0.323
Mn: 0.267 0.242 0.518
P: 0.169 0.741 0.138
P: 0.327 0.725 0.379
O: 0.008 0.229 0.430
O: 0.188 0.700 0.759
O: 0.244 0.545 0.612
O: 0.251 0.503 0.144
O: 0.281 0.027 0.897
O: 0.309 0.586 0.951
O: 0.480 0.732 0.372


[3]
DFT (PBE with a Hubbard U) results for a relaxed K2Sr3Mn2P6O21 crystal.

Unit cell a=13.440 b=5.414 c=14.018 alpha=90.00 beta=99.67 gamma=90.00
Space group P2_1 (No. 4)
Symmetry-distinct sites (fractional):
K: 0.059 0.000 0.415
K: 0.066 0.459 0.898
Sr: 0.254 0.005 0.147
Sr: 0.277 0.450 0.664
Sr: 0.491 0.471 0.249
Mn: 0.273 0.455 0.383
Mn: 0.288 0.992 0.875
P: 0.093 0.455 0.192
P: 0.094 0.947 0.708
P: 0.310 0.497 0.020
P: 0.311 0.950 0.528
P: 0.424 0.952 0.369
P: 0.441 0.493 0.876
O: 0.026 0.938 0.796
O: 0.034 0.056 0.616
O: 0.096 0.301 0.101
O: 0.116 0.730 0.184
O: 0.127 0.677 0.698
O: 0.155 0.328 0.281
O: 0.184 0.113 0.755
O: 0.249 0.722 0.489
O: 0.252 0.730 0.979
O: 0.257 0.195 0.497
O: 0.259 0.258 0.979
O: 0.330 0.500 0.130
O: 0.344 0.937 0.637
O: 0.359 0.736 0.321
O: 0.376 0.198 0.328
O: 0.377 0.704 0.822
O: 0.397 0.245 0.833
O: 0.417 0.947 0.483
O: 0.423 0.506 0.987
O: 0.448 0.023 0.127
O: 0.466 0.425 0.641


[4]
DFT (PBE with a Hubbard U) results for a relaxed K4Ti3MnP6O24 crystal.

Unit cell a=10.054 b=10.023 c=10.057 alpha=90.00 beta=90.03 gamma=90.00
Space group P2_1 (No. 4)
Symmetry-distinct sites (fractional):
K: 0.042 0.000 0.194
K: 0.178 0.729 0.569
K: 0.310 0.361 0.063
K: 0.448 0.094 0.711
Ti: 0.160 0.385 0.412
Ti: 0.333 0.712 0.913
Ti: 0.392 0.936 0.357
Mn: 0.105 0.152 0.854
P: 0.021 0.837 0.873
P: 0.128 0.066 0.537
P: 0.211 0.674 0.230
P: 0.291 0.429 0.723
P: 0.384 0.020 0.043
P: 0.475 0.256 0.373
O: 0.008 0.494 0.483
O: 0.009 0.978 0.927
O: 0.046 0.327 0.270
O: 0.052 0.235 0.042
O: 0.072 0.732 0.243
O: 0.109 0.214 0.494
O: 0.171 0.796 0.854
O: 0.183 0.053 0.677
O: 0.209 0.329 0.799
O: 0.225 0.995 0.438
O: 0.227 0.538 0.304
O: 0.247 0.447 0.576
O: 0.254 0.653 0.082
O: 0.274 0.567 0.793
O: 0.286 0.095 0.957
O: 0.314 0.768 0.299
O: 0.330 0.302 0.352
O: 0.337 0.021 0.192
O: 0.403 0.873 0.999
O: 0.440 0.385 0.725
O: 0.449 0.776 0.760
O: 0.452 0.844 0.523
O: 0.478 0.108 0.420
O: 0.479 0.591 0.969


[5]
*/
custom arrangement of enthalpy/dewpoint and dry bulb. See
the Economizer section for further details.
HVAC Mode — TEMPERING HICOOL (13) — The econ-
omizer is at minimum vent position but the combination of the
outside-air temperature and the economizer position has
dropped the supply-air temperature below the tempering cool
set point. Staged gas heat or hydronic heat is used to temper the
ventilation air.
HVAC Mode — TEMPERING LOCOOL (14) — The econ-
omizer is at minimum vent position but the combination of the
outside-air temperature and the economizer position has
dropped the supply-air temperature below the tempering cool
set point. Staged gas heat or hydronic heat is used to temper the
Here the article breaks off for calculated crystals >
- - -
Crystalline ScH3C3O6 at its relaxed geometry, computed with PBE.

POSCAR file:
```
ScH3C3O6
1.0
4.4720 -5.7039 0.0000
4.4720 5.7039 0.0000
-2.8031 0.0000 6.6841
Sc H C O
2 6 6 12
Direct
0.5000 0.5000 0.5000 Sc
0.0000 0.0000 0.0000 Sc
0.0515 0.7500 0.4485 H
0.4485 0.0515 0.7500 H
0.7500 0.4485 0.0515 H
0.9485 0.2500 0.5515 H
0.5515 0.9485 0.2500 H
0.2500 0.5515 0.9485 H
0.9544 0.7500 0.5456 C
0.5456 0.9544 0.7500 C
0.7500 0.5456 0.9544 C
0.0456 0.2500 0.4544 C
0.4544 0.0456 0.2500 C
0.2500 0.4544 0.0456 C
0.7867 0.6146 0.4782 O
0.4782 0.7867 0.6146 O
0.6146 0.4782 0.7867 O
0.9782 0.1146 0.2867 O
0.2867 0.9782 0.1146 O
0.1146 0.2867 0.9782 O
0.2133 0.3854 0.5218 O
0.5218 0.2133 0.3854 O
0.3854 0.5218 0.2133 O
0.0218 0.8854 0.7133 O
0.7133 0.0218 0.8854 O
0.8854 0.7133 0.0218 O
```

Space-group type: R-3c (167)

***

Crystalline Na2CuC3 at its relaxed geometry, computed with PBE.

POSCAR file:
```
Na2CuC3
1.0
0.0000 0.0000 4.2093
5.9473 0.0000 0.0000
0.0000 5.9473 0.0000
Na Cu C
4 2 6
Direct
0.5000 0.1772 0.6772 Na
0.5000 0.8228 0.3228 Na
0.5000 0.3228 0.1772 Na
0.5000 0.6772 0.8228 Na
0.0000 0.5000 0.5000 Cu
0.0000 0.0000 0.0000 Cu
0.0000 0.6573 0.1573 C
0.0000 0.3427 0.8427 C
0.0000 0.8427 0.6573 C
0.0000 0.1573 0.3427 C
0.0000 0.0000 0.5000 C
0.0000 0.5000 0.0000 C
```

Space-group type: P4/mbm (127)

***
- - -
Here the article continues >
ventilation air.
HVAC Mode — TEMPERING VENT (15) — The econo-
mizer is at minimum vent position but the supply-air tempera-
ture has dropped below the tempering vent set point. Staged
gas heat or hydronic heat is used to temper the ventilation air.
HVAC Mode — LOW HEAT (16) — The unit will be in low
heating demand mode using either gas or electric heat.
HVAC Mode — HIGH HEAT (17) — The unit will be in
high heating demand mode using either gas or electric heat.
HVAC Mode — FREEZESTAT TRIP (18) — If the Freez-
estat trips, the unit enters the Freezestat Trip HVAC mode. The
supply fan will run, the hydronic heat valve will be wide open,
and the economizer damper will be at minimum.
unit is off due to failure of the static pressure sensor.
unit is off due to a plenum pressure switch trip.
HVAC Mode — FIRE SHUT DOWN (21) — The unit has
been stopped due to a fire shutdown input (FSD) or two or
more of the fire control modes, purge, evacuation, or pressur-
ization have been requested simultaneously.
HVAC Mode — PRESSURIZATION (22) — The unit is in
the special fire pressurization mode where the supply fan is on,
the economizer damper is open and the power exhaust fans are
off. This mode is invoked by the Fire Pressurization (PRES)
input which can be found in the INPUT
FIRE submenu.
HVAC Mode — EVACUATION (23) — The unit is in the
special Fire Evacuation mode where the supply fan is off, the
economizer damper is closed and the power exhaust fans are
on. This mode is invoked by the Fire Evacuation (EVAC) input
which can be found in the INPUT
FIRE submenu.
HVAC Mode — SMOKE PURGE (24) — The unit is in the
special Fire Purge mode where the supply fan is on, the econo-
mizer damper is open and the power exhaust fans are on. This
mode is invoked by the Fire Evacuation (PURG) input which
can be found in the INPUT
FIRE submenu.
HVAC Mode — DEHUMIDIFICATION (25) — The unit is
operating in the Dehumidification mode.
HVAC Mode — RE-HEAT (26) — The unit is operating in
Reheat mode.
Unit Configuration Submenu — The UNIT sub-
menu under the Configuration mode of the local display
contains general unit configuration items. This section will
define all of these configurations here for easy reference. The
sub-menu which contains these configurations is located at the
local display under Configuration
UNIT. See Table 33.
Machine Control Type (C.TYP) — This configuration de-
fines the technique and control source responsible for selecting
a cooling, heating, or vent mode and in determining the method
by which compressors are staged. The control types are:
•C.TYP = 1 (VAV-RAT) and C.TYP = 2 ( VAV- S PT )
Both of these configurations refer to standard VAV opera-
tion. If the control is occupied, the supply fan is run
continuously and return-air temperature will be used in the
determination of the selection of a cooling mode. VAV-SPT
differs from VAV-RAT only in that during the unoccupied
period, space temperature will be used instead of return-air
temperature to start the fan for 10 minutes to establish an
accurate return-air temperature before the return-air temper-
ature is allowed to call out any mode.
This configuration will force the control to monitor the ther-
mostat inputs to make a determination of mode. Unlike
traditional 2-stage thermostat control, the unit is allowed to
use multiple stages of cooling control and perform VAV-
type operation. The control will be able to call out a LOW
COOL or a HIGH COOL mode and maintain a low or high
cool supply air set point.
•C.TYP = 4 (TSTAT- 2 STG)
This configuration will force the control to monitor the ther-
mostat inputs to make a determination of mode and allow
only 2 stages of control for both heating and cooling.
•C.TYP = 5 (SPT – MULTI)
This configuration will force the control to monitor a space
temperature sensor to make a determination of mode.
Unlike traditional 2-stage space temperature control, the
unit is allowed to use multiple stages of cooling control and
perform VAV-type operation. The control will be able to call
out a LOW COOL or a HIGH COOL mode and maintain a
low or high cool supply air set point.
•C.TYP = 6 (SPT- 2 STG)
This configuration will force the control to monitor the
space temperature sensor to make a determination of mode
and allow 2 stages of control for both heating and cooling.